Source:
-- begin --
Record 1
GePdAu14: relaxed, PBE.

abc: 9.6786 5.7352 10.3411
angles: 90.00 90.00 90.00
Last column: nearest neighbours and their distance in Å.
Space group Amm2 (No. 38)
One atom of each set of equivalent atoms:
Ge (0.0000, 0.0000, 0.0000) (multiplicity 2)  2 Pd 2.87, 10 Au 2.91-2.97
Pd (0.0000, 0.0000, 0.5025) (multiplicity 2)  2 Ge 2.87, 10 Au 2.92-2.96
Au (0.0000, 0.2488, 0.2512) (multiplicity 4)  8 Au 2.85-2.94, 2 Pd 2.95-2.96, 2 Ge 2.95-2.96
Au (0.2475, 0.0000, 0.6664) (multiplicity 4)  11 Au 2.87-2.98, 1 Pd 2.93
Au (0.2465, 0.2499, 0.4180) (multiplicity 8)  10 Au 2.87-2.98, 1 Ge 2.91, 1 Pd 2.92
Au (0.2498, 0.0000, 0.1670) (multiplicity 4)  11 Au 2.87-2.97, 1 Ge 2.97
Au (0.5000, 0.0000, 0.3322) (multiplicity 2)  12 Au 2.87-2.98
Au (0.5000, 0.0000, 0.8320) (multiplicity 2)  12 Au 2.87-2.98
Au (0.5000, 0.2504, 0.0821) (multiplicity 4)  12 Au 2.86-2.98

Properties
E: -3.48 eV/atom
Formation enthalpy at 0 K: -1 meV/atom

Record 2
CePrZn6: relaxed, PBE.

abc: 4.4232 6.6701 10.9922
angles: 90.00 90.00 90.00
Last column: nearest neighbours and their distance in Å.
Space group Amm2 (No. 38)
One atom of each set of equivalent atoms:
Ce (0.0000, 0.0000, 0.0000) (multiplicity 2)  12 Zn 3.04-3.34
Pr (0.5000, 0.0000, 0.3116) (multiplicity 2)  12 Zn 3.09-3.34
Zn (0.0000, 0.0000, 0.5078) (multiplicity 2)  6 Zn 2.72-2.81
Zn (0.0000, 0.2018, 0.7321) (multiplicity 4)  6 Zn 2.69-2.81
Zn (0.5000, 0.0000, 0.8102) (multiplicity 2)  6 Zn 2.73-2.92, 2 Ce 3.04
Zn (0.5000, 0.2082, 0.5769) (multiplicity 4)  6 Zn 2.72-2.92

Properties
E: -2.55 eV/atom
Formation enthalpy at 0 K: -253 meV/atom

Record 3
BiCSeN2: relaxed, PBE.

abc: 4.0186 4.0186 4.0485
angles: 90.00 90.00 90.00
Last column: nearest neighbours and their distance in Å.
Space group P4/mmm (No. 123)
One atom of each set of equivalent atoms:
Bi (0.0000, 0.0000, 0.0000) (multiplicity 1)  4 Se 2.84, 8 N 2.85
C (0.5000, 0.5000, 0.5000) (multiplicity 1)  4 N 2.01, 2 Se 2.02
Se (0.5000, 0.5000, 0.0000) (multiplicity 1)  2 C 2.02
N (0.0000, 0.5000, 0.5000) (multiplicity 2)  2 C 2.01

Properties
Offset from the most stable computed form: 0.00 eV/f.u.
E: -4.52 eV/atom
Raw formation energy: 49.04 kcal/mol of atoms

Record 4
LuZnGePd: relaxed, PBE.

abc: 6.6091 6.6091 6.6091
angles: 90.00 90.00 90.00
Last column: nearest neighbours and their distance in Å.
Space group F-43m (No. 216)
One atom of each set of equivalent atoms:
Lu (0.0000, 0.0000, 0.0000) (multiplicity 4)  4 Ge 2.86, 4 Pd 2.86
Zn (0.0000, 0.0000, 0.5000) (multiplicity 4)  4 Pd 2.86, 4 Ge 2.86
Ge (0.2500, 0.2500, 0.7500) (multiplicity 4)  4 Zn 2.86, 4 Lu 2.86
Pd (0.2500, 0.2500, 0.2500) (multiplicity 4)  4 Lu 2.86, 4 Zn 2.86

Properties
E: -4.42 eV/atom
Formation enthalpy at 0 K: -514 meV/atom

Record 5
Ce2PrInIr: relaxed, PBE.
-- stop --
Exercise:
Next, print the part of the calculation results earlier on that starts with the line with "5.7352 10.3411" and stops after the one with "-4.52 eV/atom".
Here it is:
abc: 9.6786 5.7352 10.3411
angles: 90.00 90.00 90.00
Last column: nearest neighbours and their distance in Å.
Space group Amm2 (No. 38)
One atom of each set of equivalent atoms:
Ge (0.0000, 0.0000, 0.0000) (multiplicity 2)  2 Pd 2.87, 10 Au 2.91-2.97
Pd (0.0000, 0.0000, 0.5025) (multiplicity 2)  2 Ge 2.87, 10 Au 2.92-2.96
Au (0.0000, 0.2488, 0.2512) (multiplicity 4)  8 Au 2.85-2.94, 2 Pd 2.95-2.96, 2 Ge 2.95-2.96
Au (0.2475, 0.0000, 0.6664) (multiplicity 4)  11 Au 2.87-2.98, 1 Pd 2.93
Au (0.2465, 0.2499, 0.4180) (multiplicity 8)  10 Au 2.87-2.98, 1 Ge 2.91, 1 Pd 2.92
Au (0.2498, 0.0000, 0.1670) (multiplicity 4)  11 Au 2.87-2.97, 1 Ge 2.97
Au (0.5000, 0.0000, 0.3322) (multiplicity 2)  12 Au 2.87-2.98
Au (0.5000, 0.0000, 0.8320) (multiplicity 2)  12 Au 2.87-2.98
Au (0.5000, 0.2504, 0.0821) (multiplicity 4)  12 Au 2.86-2.98

Properties
E: -3.48 eV/atom
Formation enthalpy at 0 K: -1 meV/atom

Record 2
CePrZn6: relaxed, PBE.

abc: 4.4232 6.6701 10.9922
angles: 90.00 90.00 90.00
Last column: nearest neighbours and their distance in Å.
Space group Amm2 (No. 38)
One atom of each set of equivalent atoms:
Ce (0.0000, 0.0000, 0.0000) (multiplicity 2)  12 Zn 3.04-3.34
Pr (0.5000, 0.0000, 0.3116) (multiplicity 2)  12 Zn 3.09-3.34
Zn (0.0000, 0.0000, 0.5078) (multiplicity 2)  6 Zn 2.72-2.81
Zn (0.0000, 0.2018, 0.7321) (multiplicity 4)  6 Zn 2.69-2.81
Zn (0.5000, 0.0000, 0.8102) (multiplicity 2)  6 Zn 2.73-2.92, 2 Ce 3.04
Zn (0.5000, 0.2082, 0.5769) (multiplicity 4)  6 Zn 2.72-2.92

Properties
E: -2.55 eV/atom
Formation enthalpy at 0 K: -253 meV/atom

Record 3
BiCSeN2: relaxed, PBE.

abc: 4.0186 4.0186 4.0485
angles: 90.00 90.00 90.00
Last column: nearest neighbours and their distance in Å.
Space group P4/mmm (No. 123)
One atom of each set of equivalent atoms:
Bi (0.0000, 0.0000, 0.0000) (multiplicity 1)  4 Se 2.84, 8 N 2.85
C (0.5000, 0.5000, 0.5000) (multiplicity 1)  4 N 2.01, 2 Se 2.02
Se (0.5000, 0.5000, 0.0000) (multiplicity 1)  2 C 2.02
N (0.0000, 0.5000, 0.5000) (multiplicity 2)  2 C 2.01

Properties
Offset from the most stable computed form: 0.00 eV/f.u.
E: -4.52 eV/atom